How Secure Is Your Company Video Surveillance Equipment?
┌──
The following is a PBE calculation of a relaxed structure of CsRbPt4, from Alexandria via LeMat-Bulk. Values from VASP.

The structure in Quantum ESPRESSO input format:
```
&SYSTEM
  ibrav = 0, nat = 6, ntyp = 3
/
ATOMIC_SPECIES
Cs 132.91 Cs.upf
Rb 85.47 Rb.upf
Pt 195.08 Pt.upf
CELL_PARAMETERS angstrom
0.0000 4.0285 4.0285
4.0285 0.0000 4.0285
4.0285 4.0285 0.0000
ATOMIC_POSITIONS crystal
Cs 0.0000 0.0000 0.0000
Rb 0.2500 0.2500 0.2500
Pt 0.1255 0.6248 0.6248
Pt 0.6248 0.1255 0.6248
Pt 0.6248 0.6248 0.1255
Pt 0.6248 0.6248 0.6248
```

Summary:
Crystal system   cubic
ΔE_f   0.042 eV/atom

=====

The following is a PBE calculation of a relaxed structure of Na2In2Co, from Alexandria via LeMat-Bulk. Values from VASP.

The structure in Quantum ESPRESSO input format:
```
&SYSTEM
  ibrav = 0, nat = 10, ntyp = 3
/
ATOMIC_SPECIES
Na 22.99 Na.upf
In 114.82 In.upf
Co 58.93 Co.upf
CELL_PARAMETERS angstrom
6.8309 0.0000 0.0000
0.0000 6.8309 0.0000
0.0000 0.0000 5.4104
ATOMIC_POSITIONS crystal
Na 0.1727 0.3273 0.0000
Na 0.3273 0.8273 0.0000
Na 0.6727 0.1727 0.0000
Na 0.8273 0.6727 0.0000
In 0.1682 0.6682 0.5000
In 0.3318 0.1682 0.5000
In 0.6682 0.8318 0.5000
In 0.8318 0.3318 0.5000
Co 0.0000 0.0000 0.5000
Co 0.5000 0.5000 0.5000
```

Summary:
Crystal system   tetragonal
ΔE_f   0.200 eV/atom

=====

The following is a PBE calculation of a relaxed structure of Sm2Rh3Pb2, from Alexandria via LeMat-Bulk. Values from VASP.

The structure in Quantum ESPRESSO input format:
```
&SYSTEM
  ibrav = 0, nat = 14, ntyp = 3
/
ATOMIC_SPECIES
Sm 150.36 Sm.upf
Rh 102.91 Rh.upf
Pb 207.20 Pb.upf
CELL_PARAMETERS angstrom
-4.3311 4.3311 4.3311
4.3311 -4.3311 4.3311
4.3311 4.3311 -4.3311
ATOMIC_POSITIONS crystal
Sm 0.0000 0.0316 0.5000
Sm 0.0316 0.5000 0.0000
Sm 0.4684 0.4684 0.4684
Sm 0.5000 0.0000 0.0316
Rh 0.0106 0.2500 0.2606
Rh 0.2394 0.4894 0.7500
Rh 0.2500 0.2606 0.0106
Rh 0.2606 0.0106 0.2500
Rh 0.4894 0.7500 0.2394
Rh 0.7500 0.2394 0.4894
Pb 0.0000 0.6120 0.5000
Pb 0.5000 0.0000 0.6120
Pb 0.6120 0.5000 0.0000
Pb 0.8880 0.8880 0.8880
```

Summary:
Crystal system   cubic
ΔE_f   -0.491 eV/atom

=====

The following is a PBE calculation of a relaxed structure of BaAcGa, from Alexandria via LeMat-Bulk. Values from VASP.

The structure in Quantum ESPRESSO input format:
```
&SYSTEM
  ibrav = 0, nat = 12, ntyp = 3
/
ATOMIC_SPECIES
Ba 137.33 Ba.upf
Ac 227.00 Ac.upf
Ga 69.72 Ga.upf
CELL_PARAMETERS angstrom
7.8847 0.0000 0.0000
0.0000 7.8847 0.0000
0.0000 0.0000 7.8847
ATOMIC_POSITIONS crystal
Ba 0.0000 0.0000 0.0000
Ba 0.0000 0.5000 0.5000
Ba 0.5000 0.0000 0.5000
Ba 0.5000 0.5000 0.0000
Ac 0.0000 0.0000 0.5000
Ac 0.0000 0.5000 0.0000
Ac 0.5000 0.0000 0.0000
Ac 0.5000 0.5000 0.5000
Ga 0.2500 0.2500 0.2500
Ga 0.2500 0.7500 0.7500
Ga 0.7500 0.2500 0.7500
Ga 0.7500 0.7500 0.2500
```

Summary:
Crystal system   cubic
ΔE to the lowest computed polymorph   0.1669 eV per atom
ΔE_f   -0.132 eV/atom

=====
└──
Like other IoT devices, video surveillance equipment may be prone to privacy breaches. Learn how to secure your company’s video surveillance equipment.
**Here the piece breaks off for calculated crystals:**
~~~
Entry 1:
Entry from Alexandria via LeMat-Bulk: ZrTlRu after structural relaxation (PBE).

Values from the calculation:
Formation enthalpy at 0 K   70 meV per atom
VASP energy   -19.98 eV for the cell shown
Space-group type   P3m1
Offset from the most stable computed form   0.405 eV per formula unit
V   19.6 Å³/atom

abc: 4.666 4.666 3.122
angles: 90.00 90.00 120.00
Fractional positions:
1 Zr 0.000 0.000 0.000
2 Tl 0.667 0.333 0.530
3 Ru 0.333 0.667 0.305

Entry 2:
Entry from Alexandria via LeMat-Bulk: Sc4GaO after structural relaxation (PBE).

Values from the calculation:
E_form (uncorrected)   -7.05 eV/f.u.
VASP energy   -80.71 eV for the cell shown
Space-group type   Cmc2_1
V   18.0 Å³/atom

abc: 8.146 8.146 6.093
angles: 90.00 90.00 147.73
Fractional positions:
1 Sc 0.001 0.999 0.500
2 Sc 0.194 0.806 0.990
3 Sc 0.195 0.805 0.504
4 Sc 0.397 0.603 0.748
5 Sc 0.603 0.397 0.248
6 Sc 0.805 0.195 0.004
7 Sc 0.806 0.194 0.490
8 Sc 0.999 0.001 0.000
9 Ga 0.397 0.603 0.248
10 Ga 0.603 0.397 0.748
11 O 0.097 0.903 0.248
12 O 0.903 0.097 0.748

Entry 3:
Entry from Alexandria via LeMat-Bulk: ErNp2Si6 after structural relaxation (PBE).

Values from the calculation:
E_form (uncorrected)   -3.26 eV/f.u.
VASP energy   -66.24 eV for the cell shown
Space-group type   P6/mmm
V   18.1 Å³/atom

abc: 7.024 7.024 3.812
angles: 90.00 90.00 120.00
Fractional positions:
1 Er 0.000 0.000 0.000
2 Np 0.333 0.667 0.000
3 Np 0.667 0.333 0.000
4 Si 0.000 0.334 0.500
5 Si 0.000 0.666 0.500
6 Si 0.334 0.000 0.500
7 Si 0.334 0.334 0.500
8 Si 0.666 0.000 0.500
9 Si 0.666 0.666 0.500

Entry 4:
Entry from Alexandria via LeMat-Bulk: TaGeHPd2 after structural relaxation (PBE).

Values from the calculation:
VASP energy   -31.22 eV for the cell shown
Space-group type   P4/mmm
V   13.3 Å³/atom

abc: 3.859 3.859 4.466
angles: 90.00 90.00 90.00
Fractional positions:
1 Ta 0.000 0.000 0.000
2 Ge 0.500 0.500 0.000
3 H 0.000 0.000 0.500
4 Pd 0.000 0.500 0.500
5 Pd 0.500 0.000 0.500

Entry 5:
Entry from Alexandria via LeMat-Bulk: TbHo8Bi6 after structural relaxation (PBE).

Values from the calculation:
Formation enthalpy at 0 K   -498 meV per atom
VASP energy   -72.01 eV for the cell shown
Space-group type   R-3
V   32.8 Å³/atom

abc: 10.740 10.740 10.740
angles: 41.54 41.54 41.54
Fractional positions:
1 Tb 0.000 0.000 0.000
2 Ho 0.122 0.790 0.453
3 Ho 0.210 0.547 0.878
4 Ho 0.333 0.333 0.333
5 Ho 0.453 0.122 0.790
6 Ho 0.547 0.878 0.210
7 Ho 0.667 0.667 0.667
8 Ho 0.790 0.453 0.122
9 Ho 0.878 0.210 0.547
10 Bi 0.062 0.398 0.728
11 Bi 0.272 0.938 0.602
12 Bi 0.398 0.728 0.062
13 Bi 0.602 0.272 0.938
14 Bi 0.728 0.062 0.398
15 Bi 0.938 0.602 0.272

Entry 6:
Entry from Alexandria via LeMat-Bulk: Hf2Zr2Ag after structural relaxation (PBE).

Values from the calculation:
Formation enthalpy at 0 K   217 meV per atom
VASP energy   -77.54 eV for the cell shown
Space-group type   P4/mbm
Offset from the most stable computed form   0.000 eV per formula unit
V   22.6 Å³/atom

abc: 7.362 7.362 4.178
~~~
**Here the piece continues:**

According to a survey conducted by the IHS Markit Video Surveillance Group, some 98 million network surveillance cameras were shipped in 2017 along with almost 30 million HD CCTV (high-definition closed-circuit television) cameras. These impressive numbers are likely no surprise: Video surveillance equipment is everywhere. In parking lots, hospitals, shopping malls, local businesses such as banks and more. Video equipment is something that enterprises rely on for safety measures and for business analytics.
But many stakeholders don’t realize that surveillance equipment can be an extremely vulnerable entry point for data-breaches and hacks. Imagine this scenario. A business with a chain of retail stores installs small network-connected video monitoring cameras at each retail location in order to prevent shoplifting, monitor retail employers who deliver cash deposits to banks and also to secure valuable business analytics such as volume of shoppers and average time spent in front of each merchandising display. A perpetrator finds a way to penetrate the network and assumes immediate control of the live stream and data traffic is then routed to an adversary in a country such as China. This is how IP and business intelligence ends up in the wrong hands.
This type of breach is occurring with increased frequency. So how do businesses maintain their safety and asset-protection measures while ensuring their video surveillance equipment remains secure? The challenge of securing video surveillance equipment is multifold. In order to secure surveillance equipment, you need to find a way to secure both the actual video camera and the network. In addition, due to practicality, the security measures generally must be put in place remotely.
The solution becomes finding a way to tighten the security of the cameras live streams via the network while introducing potential new methods of securing the video equipment itself. GoSilent (labeled GS in the below diagram) plugs directly into the individual video cameras and secures a connection to the enterprise GoSilent server (labeled GSS in the below diagram), and creates an Internet protocol security (IPsec) tunnel through the enterprise firewall. The camera live streams are then securely transmitted, viewed and stored behind the corporate firewall without risk of interception.
Learn more about how Silent Circle’s products and solutions help enterprises secure their data and prevent losses in reputation, trust and earnings.